Say how many lines of the listing further below hold the word "Simulated", as a bare number.

[1]
Simulated PXRD pattern of Cr5Rh3 for a wavelength of 1.5418 Å, from DFT lattice parameters and positions (GGA-PBE).
Intensities are scaled so that the largest is 100.

Largest 8 diffraction maxima, by angle, 5 to 70 degrees two-theta:
| Position (°2θ) | d [Å] | I_rel |
| --- | --- | --- |
| 30.2 | 2.957 | 33 |
| 33.3 | 2.693 | 36 |
| 39.1 | 2.305 | 46 |
| 39.7 | 2.272 | 84 |
| 41.3 | 2.185 | 29 |
| 42.1 | 2.146 | 100 |
| 45.9 | 1.978 | 69 |
| 51.4 | 1.778 | 25 |

```
16
Lattice="6.634 0.000 0.000 0.000 4.610 0.000 -3.304 0.000 7.104" Properties=species:S:1:pos:R:3 pbc="T T T"
Cr -0.853 1.152 1.993
Cr -0.527 3.457 3.527
Cr -0.801 1.152 5.096
Cr 1.654 2.368 1.394
Cr 1.654 4.547 1.394
Cr 1.677 0.063 5.710
Cr 1.677 2.242 5.710
Cr 4.132 3.457 2.008
Cr 3.858 1.152 3.577
Cr 4.184 3.457 5.111
Rh -2.819 1.152 6.508
Rh -0.385 3.457 6.452
Rh 1.111 1.152 3.497
Rh 2.220 3.457 3.607
Rh 3.716 1.152 0.652
Rh 6.150 3.457 0.596
```



[2]
Simulated PXRD pattern of Cr3Rh4 for a wavelength of 1.5418 Å, from DFT lattice parameters and positions (GGA-PBE).
Intensities are scaled so that the largest is 100.

Largest 8 diffraction maxima, by angle, 5 to 70 degrees two-theta:
| Position (°2θ) | d [Å] | I_rel |
| --- | --- | --- |
| 14.9 | 5.936 | 14 |
| 30.9 | 2.893 | 16 |
| 34.2 | 2.619 | 5 |
| 41.3 | 2.187 | 100 |
| 41.5 | 2.178 | 95 |
| 43.3 | 2.089 | 4 |
| 47.7 | 1.906 | 33 |
| 48.4 | 1.882 | 61 |

```
14
Lattice="8.457 0.000 0.000 0.000 3.766 0.000 -0.932 0.000 5.936" Properties=species:S:1:pos:R:3 pbc="T T T"
Cr 0.000 0.000 0.000
Cr 1.630 1.883 0.897
Cr 1.666 0.000 5.039
Cr 4.229 1.883 0.000
Cr 5.859 0.000 0.897
Cr 5.895 1.883 5.039
Rh -0.014 1.883 4.366
Rh 0.806 0.000 2.487
Rh 2.490 1.883 3.449
Rh 3.311 0.000 1.570
Rh 4.214 0.000 4.366
Rh 5.034 1.883 2.487
Rh 6.719 0.000 3.449
Rh 7.539 1.883 1.570
```



[3]
Simulated PXRD pattern of Cr4Rh3 for a wavelength of 1.5418 Å, from DFT lattice parameters and positions (GGA-PBE).
Intensities are scaled so that the largest is 100.

Largest 8 diffraction maxima, by angle, 5 to 70 degrees two-theta:
| Position (°2θ) | d [Å] | I_rel |
| --- | --- | --- |
| 33.2 | 2.695 | 21 |
| 37.2 | 2.414 | 4 |
| 41.6 | 2.170 | 8 |
| 42.7 | 2.120 | 100 |
| 44.1 | 2.054 | 50 |
| 59.7 | 1.550 | 6 |
| 62.2 | 1.492 | 9 |
| 64.1 | 1.452 | 15 |

```
14
Lattice="2.905 0.000 0.000 0.000 2.905 0.000 0.000 0.000 21.699" Properties=species:S:1:pos:R:3 pbc="T T T"
Cr 0.000 0.000 1.668
Cr 0.000 0.000 7.975
Cr 0.000 0.000 13.724
Cr 0.000 0.000 20.031
Cr 1.452 1.452 2.874
Cr 1.452 1.452 9.182
Cr 1.452 1.452 12.517
Cr 1.452 1.452 18.824
Rh 0.000 0.000 4.473
Rh 0.000 0.000 10.849
Rh 0.000 0.000 17.226
Rh 1.452 1.452 0.000
Rh 1.452 1.452 6.377
Rh 1.452 1.452 15.322
```



[4]
Simulated PXRD pattern of Cr3Rh for a wavelength of 1.5418 Å, from DFT lattice parameters and positions (GGA-PBE).
Intensities are scaled so that the largest is 100.

Largest 8 diffraction maxima, by angle, 5 to 70 degrees two-theta:
| Position (°2θ) | d [Å] | I_rel |
| --- | --- | --- |
| 19.8 | 4.486 | 6 |
| 20.9 | 4.248 | 6 |
| 26.6 | 3.350 | 5 |
| 36.4 | 2.469 | 3 |
| 40.9 | 2.205 | 2 |
| 42.6 | 2.123 | 100 |
| 48.7 | 1.869 | 16 |
| 50.0 | 1.824 | 30 |

```
8
Lattice="8.597 0.000 0.000 0.000 2.580 0.000 -0.693 0.000 4.486" Properties=species:S:1:pos:R:3 pbc="T T T"
Cr 0.000 0.000 0.000
Cr 1.586 0.000 3.386
Cr 2.019 1.290 1.100
Cr 4.298 1.290 0.000
Cr 5.885 1.290 3.386
Cr 6.317 0.000 1.100
Rh -0.347 1.290 2.243
Rh 3.952 0.000 2.243
```



[5]
Simulated PXRD pattern of Cr3Rh7 for a wavelength of 1.5418 Å, from DFT lattice parameters and positions (GGA-PBE).
Intensities are scaled so that the largest is 100.

Largest 8 diffraction maxima, by angle, 5 to 70 degrees two-theta:
| Position (°2θ) | d [Å] | I_rel |
| --- | --- | --- |
| 23.7 | 3.756 | 3 |
| 24.3 | 3.664 | 2 |
| 33.2 | 2.700 | 3 |
| 41.2 | 2.192 | 100 |
| 47.5 | 1.915 | 17 |
| 47.8 | 1.904 | 16 |
| 48.5 | 1.878 | 15 |
| 69.6 | 1.350 | 10 |

```
10

5